# Excerpt
For Ce2InRh2, a crystal structure in the Materials Project, relaxed with PBE gives the simulated powder diffractogram in this record (CuKα).
Intensities are scaled so that the largest is 100.

Cell and atoms:
Cell lengths 7.6855, 7.6855, 3.7342 Å; angles 90.00, 90.00, 90.00 degrees
Space group P4/mbm (No. 127)
Asymmetric unit:
Ce  0.1712  0.3288  0.0000 x4
In  0.0000  0.0000  0.5000 x2
Rh  0.1354  0.6354  0.5000 x4

The 10 most intense peaks (15 to 90 degrees two-theta), sorted by position:
two_theta  I_rel
32.96  10
33.46  26
35.50  100
36.99  45
48.80  19
55.06  15
62.76  19
66.95  8
70.66  14
82.40  9

~~~~~

No. 1
Theoretical X-ray powder pattern
Compound: YAl9Ni3
Radiation: Cu Kα (weighted mean of Kα1 and Kα2)
Structure: DFT lattice parameters and positions (PBE)

The 10 most intense peaks (2θ = 10–90°), low angle first:
2θ (°)  I_rel  (hkl)
19.4  18  0 0 6
24.4  48  1 1 0
31.4  65  1 1 6
38.5  61  1 1 9
39.4  22  0 0 12
43.0  100  3 0 0
46.9  32  1 1 12
47.6  18  3 0 6
59.7  27  3 0 12
75.8  20  4 1 9

Atomic structure:
```
data_YAl9Ni3
_space_group_name_H-M_alt 'R 3 2'
_space_group_IT_number 155
_space_group_name_Hall 'R 3 2"'
_cell_length_a 7.2857
_cell_length_b 7.2857
_cell_length_c 27.4550
_cell_angle_alpha 90.00
_cell_angle_beta 90.00
_cell_angle_gamma 120.00
loop_
_atom_site_label
_atom_site_type_symbol
_atom_site_fract_x
_atom_site_fract_y
_atom_site_fract_z
Y1 Y 0.0000 0.0000 0.1668
Al1 Al 0.0000 0.0000 0.0516
Al2 Al 0.0000 0.0000 0.2822
Al3 Al 0.0000 0.0000 0.3866
Al4 Al 0.0000 0.2085 0.5000
Al5 Al 0.0000 0.3341 0.0000
Al6 Al 0.0000 0.6703 0.4321
Ni1 Ni 0.9999 0.3395 0.4182
```


No. 2
Theoretical X-ray powder pattern
Compound: AlPPtO
Radiation: Cu Kα (weighted mean of Kα1 and Kα2)
Structure: DFT lattice parameters and positions (PBE)

The 10 most intense peaks (2θ = 10–90°), low angle first:
2θ (°)  I_rel  (hkl)
12.4  100  0 1 0
22.2  61  1 0 0
22.8  29  0 1 1
25.5  97  1 1 0
31.6  51  0 2 1
32.0  33  1 1 1
38.7  28  0 0 2
38.9  52  1 2 1
46.9  31  1 1 2
48.6  31  1 3 1

Atomic structure:
```
data_AlPPtO
_space_group_name_H-M_alt 'P m c 21'
_space_group_IT_number 26
_cell_length_a 4.0087
_cell_length_b 7.1431
_cell_length_c 4.6482
_cell_angle_alpha 90.00
_cell_angle_beta 90.00
_cell_angle_gamma 90.00
loop_
_space_group_symop_operation_xyz
'x,y,z'
'-x,-y,z+1/2'
'-x,y,z'
'x,-y,z+1/2'
loop_
_atom_site_label
_atom_site_type_symbol
_atom_site_fract_x
_atom_site_fract_y
_atom_site_fract_z
Al1 Al 0.0000 0.1314 0.0000
P1 P 0.5000 0.2976 0.8834
Pt1 Pt 0.5000 0.3857 0.3926
O1 O 0.0000 0.1006 0.3733
```

~~~~~

(1)
For Pr4ZnSe3, DFT lattice parameters and positions (GGA-PBE) gives the calculated X-ray powder pattern in this record (Cu Kα X-rays).
Neutral-atom scattering factors, no anomalous dispersion.

Top 12 peaks for 2θ from 15° to 90°, by angle:
2θ (°)  I (rel.)  (hkl)
25.48  16  1 1 2
29.51  100  2 0 0
42.22  75  2 2 0
49.97  8  3 1 2
52.35  27  2 2 4
61.20  8  4 0 0
61.33  4  0 0 8
67.43  3  3 3 2
69.39  23  4 2 0
69.50  11  2 0 8
77.19  25  4 2 4
82.82  2  5 1 2

Cell and atoms:
```
data_Pr4ZnSe3
_chemical_formula_sum 'Pr8 Zn2 Se6'
_space_group_name_H-M_alt 'I 4/m m m'
_space_group_IT_number 139
_space_group_name_Hall '-I 4 2'
_cell_length_a 6.058
_cell_length_b 6.058
_cell_length_c 12.092
_cell_angle_alpha 90.00
_cell_angle_beta 90.00
_cell_angle_gamma 90.00
loop_
_atom_site_label
_atom_site_type_symbol
_atom_site_fract_x
_atom_site_fract_y
_atom_site_fract_z
Pr1 Pr 0.000 0.000 0.247
Pr2 Pr 0.000 0.500 0.000
Zn1 Zn 0.000 0.000 0.500
Se1 Se 0.000 0.000 0.000
Se2 Se 0.000 0.500 0.250
```


(2)
For Pr5Si2, DFT lattice parameters and positions (GGA-PBE) gives the calculated X-ray powder pattern in this record (Cu Kα X-rays).
Neutral-atom scattering factors, no anomalous dispersion.

Top 12 peaks for 2θ from 15° to 90°, by angle:
2θ (°)  I (rel.)  (hkl)
25.20  16  3 1 1
25.93  26  1 1 -2
26.09  19  2 0 2
29.34  100  0 2 1
31.15  41  5 1 0
31.82  17  5 1 -1
31.98  21  2 2 1
32.60  18  3 1 2
33.68  21  4 0 2
# Exercise
Your job: quote the data above without additions.
# Response
For Ce2InRh2, a crystal structure in the Materials Project, relaxed with PBE gives the simulated powder diffractogram in this record (CuKα).
Intensities are scaled so that the largest is 100.

Cell and atoms:
Cell lengths 7.6855, 7.6855, 3.7342 Å; angles 90.00, 90.00, 90.00 degrees
Space group P4/mbm (No. 127)
Asymmetric unit:
Ce  0.1712  0.3288  0.0000 x4
In  0.0000  0.0000  0.5000 x2
Rh  0.1354  0.6354  0.5000 x4

The 10 most intense peaks (15 to 90 degrees two-theta), sorted by position:
two_theta  I_rel
32.96  10
33.46  26
35.50  100
36.99  45
48.80  19
55.06  15
62.76  19
66.95  8
70.66  14
82.40  9

~~~~~

No. 1
Theoretical X-ray powder pattern
Compound: YAl9Ni3
Radiation: Cu Kα (weighted mean of Kα1 and Kα2)
Structure: DFT lattice parameters and positions (PBE)

The 10 most intense peaks (2θ = 10–90°), low angle first:
2θ (°)  I_rel  (hkl)
19.4  18  0 0 6
24.4  48  1 1 0
31.4  65  1 1 6
38.5  61  1 1 9
39.4  22  0 0 12
43.0  100  3 0 0
46.9  32  1 1 12
47.6  18  3 0 6
59.7  27  3 0 12
75.8  20  4 1 9

Atomic structure:
```
data_YAl9Ni3
_space_group_name_H-M_alt 'R 3 2'
_space_group_IT_number 155
_space_group_name_Hall 'R 3 2"'
_cell_length_a 7.2857
_cell_length_b 7.2857
_cell_length_c 27.4550
_cell_angle_alpha 90.00
_cell_angle_beta 90.00
_cell_angle_gamma 120.00
loop_
_atom_site_label
_atom_site_type_symbol
_atom_site_fract_x
_atom_site_fract_y
_atom_site_fract_z
Y1 Y 0.0000 0.0000 0.1668
Al1 Al 0.0000 0.0000 0.0516
Al2 Al 0.0000 0.0000 0.2822
Al3 Al 0.0000 0.0000 0.3866
Al4 Al 0.0000 0.2085 0.5000
Al5 Al 0.0000 0.3341 0.0000
Al6 Al 0.0000 0.6703 0.4321
Ni1 Ni 0.9999 0.3395 0.4182
```


No. 2
Theoretical X-ray powder pattern
Compound: AlPPtO
Radiation: Cu Kα (weighted mean of Kα1 and Kα2)
Structure: DFT lattice parameters and positions (PBE)

The 10 most intense peaks (2θ = 10–90°), low angle first:
2θ (°)  I_rel  (hkl)
12.4  100  0 1 0
22.2  61  1 0 0
22.8  29  0 1 1
25.5  97  1 1 0
31.6  51  0 2 1
32.0  33  1 1 1
38.7  28  0 0 2
38.9  52  1 2 1
46.9  31  1 1 2
48.6  31  1 3 1

Atomic structure:
```
data_AlPPtO
_space_group_name_H-M_alt 'P m c 21'
_space_group_IT_number 26
_cell_length_a 4.0087
_cell_length_b 7.1431
_cell_length_c 4.6482
_cell_angle_alpha 90.00
_cell_angle_beta 90.00
_cell_angle_gamma 90.00
loop_
_space_group_symop_operation_xyz
'x,y,z'
'-x,-y,z+1/2'
'-x,y,z'
'x,-y,z+1/2'
loop_
_atom_site_label
_atom_site_type_symbol
_atom_site_fract_x
_atom_site_fract_y
_atom_site_fract_z
Al1 Al 0.0000 0.1314 0.0000
P1 P 0.5000 0.2976 0.8834
Pt1 Pt 0.5000 0.3857 0.3926
O1 O 0.0000 0.1006 0.3733
```

~~~~~

(1)
For Pr4ZnSe3, DFT lattice parameters and positions (GGA-PBE) gives the calculated X-ray powder pattern in this record (Cu Kα X-rays).
Neutral-atom scattering factors, no anomalous dispersion.

Top 12 peaks for 2θ from 15° to 90°, by angle:
2θ (°)  I (rel.)  (hkl)
25.48  16  1 1 2
29.51  100  2 0 0
42.22  75  2 2 0
49.97  8  3 1 2
52.35  27  2 2 4
61.20  8  4 0 0
61.33  4  0 0 8
67.43  3  3 3 2
69.39  23  4 2 0
69.50  11  2 0 8
77.19  25  4 2 4
82.82  2  5 1 2

Cell and atoms:
```
data_Pr4ZnSe3
_chemical_formula_sum 'Pr8 Zn2 Se6'
_space_group_name_H-M_alt 'I 4/m m m'
_space_group_IT_number 139
_space_group_name_Hall '-I 4 2'
_cell_length_a 6.058
_cell_length_b 6.058
_cell_length_c 12.092
_cell_angle_alpha 90.00
_cell_angle_beta 90.00
_cell_angle_gamma 90.00
loop_
_atom_site_label
_atom_site_type_symbol
_atom_site_fract_x
_atom_site_fract_y
_atom_site_fract_z
Pr1 Pr 0.000 0.000 0.247
Pr2 Pr 0.000 0.500 0.000
Zn1 Zn 0.000 0.000 0.500
Se1 Se 0.000 0.000 0.000
Se2 Se 0.000 0.500 0.250
```


(2)
For Pr5Si2, DFT lattice parameters and positions (GGA-PBE) gives the calculated X-ray powder pattern in this record (Cu Kα X-rays).
Neutral-atom scattering factors, no anomalous dispersion.

Top 12 peaks for 2θ from 15° to 90°, by angle:
2θ (°)  I (rel.)  (hkl)
25.20  16  3 1 1
25.93  26  1 1 -2
26.09  19  2 0 2
29.34  100  0 2 1
31.15  41  5 1 0
31.82  17  5 1 -1
31.98  21  2 2 1
32.60  18  3 1 2
33.68  21  4 0 2